**Entries:**
# 1
Below is a relaxed Ni2BrCl crystal, with properties calculated at the GGA-PBE level.

M_tot: 1.11 μB/cell
E: -0.1301 Ha/atom
E_form (uncorrected): 0.232 eV per atom

Lattice parameters (Å, degrees): 4.854 4.851 4.774 60.57 60.50 58.93
Fractional positions:
Ni 0.000 0.000 0.500
Ni 0.500 0.500 0.000
Br 0.000 0.000 0.000
Cl 0.500 0.500 0.500

---

# 2
Below is a relaxed Ni3BrCl7 crystal, with properties calculated at the GGA-PBE level.

M_tot: 4.03 μB/cell
E: -0.1234 Ha/atom
E_form (uncorrected): -0.454 eV per atom

Lattice parameters (Å, degrees): 6.967 6.967 8.020 122.12 122.12 60.00
Fractional positions:
Ni 0.000 0.000 0.000
Ni 0.000 0.504 0.000
Ni 0.504 0.000 0.000
Br 0.272 0.272 0.255
Cl 0.220 0.758 0.191
Cl 0.245 0.245 0.812
Cl 0.245 0.783 0.812
Cl 0.741 0.741 0.769
Cl 0.758 0.220 0.191
Cl 0.759 0.759 0.190
Cl 0.783 0.245 0.812

---

# 3
Below is a relaxed Ni2BrCl crystal, with properties calculated at the GGA-PBE level.

M_tot: 2.00 μB/cell
E: -0.1318 Ha/atom
E_form (uncorrected): 0.183 eV per atom

Lattice parameters (Å, degrees): 3.637 3.637 6.188 107.08 107.08 60.04
Fractional positions:
Ni 0.246 0.246 0.235
Ni 0.754 0.754 0.765
Br 0.000 0.000 0.500
Cl 0.500 0.500 0.000

---

# 4
Below is a relaxed NiBr2Cl crystal, with properties calculated at the GGA-PBE level.

M_tot: 1.34 μB/cell
E: -0.0875 Ha/atom
E_form (uncorrected): 0.362 eV per atom

Lattice parameters (Å, degrees): 6.162 6.162 4.675 101.28 101.28 133.13
Fractional positions:
Ni 0.000 0.000 0.000
Br 0.000 0.500 0.500
Br 0.500 0.000 0.500
Cl 0.500 0.500 0.000

---

# 5
Below is a relaxed Ni2BrCl crystal, with properties calculated at the GGA-PBE level.

M_tot: 1.93 μB/cell
E: -0.1344 Ha/atom
E_form (uncorrected): 0.113 eV per atom

Lattice parameters (Å, degrees): 7.583 7.583 7.583 155.12 153.97 36.32
Fractional positions:
Ni 0.000 0.000 0.000
Ni 0.865 0.365 0.500
Br 0.558 0.558 0.000
Cl 0.321 0.821 0.500

---

# 6
Below is a relaxed Ni2BrCl crystal, with properties calculated at the GGA-PBE level.

M_tot: 1.15 μB/cell
E: -0.1383 Ha/atom
E_form (uncorrected): 0.008 eV per atom

Lattice parameters (Å, degrees): 3.988 3.988 7.229 90.00 90.00 123.39
Fractional positions:
Ni 0.000 0.000 0.000
Ni 0.500 0.500 0.183
Br 0.500 0.500 0.813
Cl 0.000 0.000 0.335

---

# 7
Below is a relaxed Ni2BrCl crystal, with properties calculated at the GGA-PBE level.

M_tot: 0.19 μB/cell
E: -0.1439 Ha/atom
E_form (uncorrected): -0.144 eV per atom

Lattice parameters (Å, degrees): 7.512 7.512 7.512 27.28 27.28 27.28
Fractional positions:
Ni 0.000 0.000 0.000
Ni 0.271 0.271 0.271
Br 0.548 0.548 0.548
Cl 0.715 0.715 0.715

---

# 8
Below is a relaxed NiBr4Cl crystal, with properties calculated at the GGA-PBE level.

M_tot: 1.17 μB/cell
E: -0.0540 Ha/atom
E_form (uncorrected): 0.917 eV per atom

Lattice parameters (Å, degrees): 6.068 6.068 6.068 60.00 60.00 60.00
Fractional positions:
Ni 0.000 0.000 0.000
Br 0.125 0.625 0.625
Br 0.625 0.125 0.625
Br 0.625 0.625 0.125
Br 0.625 0.625 0.625
Cl 0.250 0.250 0.250

---

# 9
Below is a relaxed NiOsBr2Cl crystal, with properties calculated at the GGA-PBE level.

M_tot: 4.58 μB/cell
E: -0.1244 Ha/atom
E_form (uncorrected): 1.054 eV per atom

Lattice parameters (Å, degrees): 4.749 4.749 5.068 90.00 90.00 90.00
Fractional positions:
Ni 0.000 0.000 0.000
Os 0.000 0.000 0.500
Br 0.000 0.500 0.000
Br 0.500 0.000 0.000
Cl 0.500 0.500 0.500

---

# 10
Below is a relaxed NiPBrCl2 crystal, with properties calculated at the GGA-PBE level.

M_tot: 0.00 μB/cell
E: -0.1136 Ha/atom
E_form (uncorrected): 0.221 eV per atom

Lattice parameters (Å, degrees): 4.508 4.508 4.697 90.00 90.00 90.00
Fractional positions:
Ni 0.000 0.000 0.000
P 0.000 0.000 0.500
Br 0.500 0.500 0.500
Cl 0.000 0.500 0.000
Cl 0.500 0.000 0.000

---

# 11
Below is a relaxed Pm6Ni2Br3Cl crystal, with properties calculated at the GGA-PBE level.

M_tot: 0.00 μB/cell
E: -0.1801 Ha/atom
E_form (uncorrected): -0.988 eV per atom

**Request:**
Restate everything further above exactly.

**Result:**
# 1
Below is a relaxed Ni2BrCl crystal, with properties calculated at the GGA-PBE level.

M_tot: 1.11 μB/cell
E: -0.1301 Ha/atom
E_form (uncorrected): 0.232 eV per atom

Lattice parameters (Å, degrees): 4.854 4.851 4.774 60.57 60.50 58.93
Fractional positions:
Ni 0.000 0.000 0.500
Ni 0.500 0.500 0.000
Br 0.000 0.000 0.000
Cl 0.500 0.500 0.500

---

# 2
Below is a relaxed Ni3BrCl7 crystal, with properties calculated at the GGA-PBE level.

M_tot: 4.03 μB/cell
E: -0.1234 Ha/atom
E_form (uncorrected): -0.454 eV per atom

Lattice parameters (Å, degrees): 6.967 6.967 8.020 122.12 122.12 60.00
Fractional positions:
Ni 0.000 0.000 0.000
Ni 0.000 0.504 0.000
Ni 0.504 0.000 0.000
Br 0.272 0.272 0.255
Cl 0.220 0.758 0.191
Cl 0.245 0.245 0.812
Cl 0.245 0.783 0.812
Cl 0.741 0.741 0.769
Cl 0.758 0.220 0.191
Cl 0.759 0.759 0.190
Cl 0.783 0.245 0.812

---

# 3
Below is a relaxed Ni2BrCl crystal, with properties calculated at the GGA-PBE level.

M_tot: 2.00 μB/cell
E: -0.1318 Ha/atom
E_form (uncorrected): 0.183 eV per atom

Lattice parameters (Å, degrees): 3.637 3.637 6.188 107.08 107.08 60.04
Fractional positions:
Ni 0.246 0.246 0.235
Ni 0.754 0.754 0.765
Br 0.000 0.000 0.500
Cl 0.500 0.500 0.000

---

# 4
Below is a relaxed NiBr2Cl crystal, with properties calculated at the GGA-PBE level.

M_tot: 1.34 μB/cell
E: -0.0875 Ha/atom
E_form (uncorrected): 0.362 eV per atom

Lattice parameters (Å, degrees): 6.162 6.162 4.675 101.28 101.28 133.13
Fractional positions:
Ni 0.000 0.000 0.000
Br 0.000 0.500 0.500
Br 0.500 0.000 0.500
Cl 0.500 0.500 0.000

---

# 5
Below is a relaxed Ni2BrCl crystal, with properties calculated at the GGA-PBE level.

M_tot: 1.93 μB/cell
E: -0.1344 Ha/atom
E_form (uncorrected): 0.113 eV per atom

Lattice parameters (Å, degrees): 7.583 7.583 7.583 155.12 153.97 36.32
Fractional positions:
Ni 0.000 0.000 0.000
Ni 0.865 0.365 0.500
Br 0.558 0.558 0.000
Cl 0.321 0.821 0.500

---

# 6
Below is a relaxed Ni2BrCl crystal, with properties calculated at the GGA-PBE level.

M_tot: 1.15 μB/cell
E: -0.1383 Ha/atom
E_form (uncorrected): 0.008 eV per atom

Lattice parameters (Å, degrees): 3.988 3.988 7.229 90.00 90.00 123.39
Fractional positions:
Ni 0.000 0.000 0.000
Ni 0.500 0.500 0.183
Br 0.500 0.500 0.813
Cl 0.000 0.000 0.335

---

# 7
Below is a relaxed Ni2BrCl crystal, with properties calculated at the GGA-PBE level.

M_tot: 0.19 μB/cell
E: -0.1439 Ha/atom
E_form (uncorrected): -0.144 eV per atom

Lattice parameters (Å, degrees): 7.512 7.512 7.512 27.28 27.28 27.28
Fractional positions:
Ni 0.000 0.000 0.000
Ni 0.271 0.271 0.271
Br 0.548 0.548 0.548
Cl 0.715 0.715 0.715

---

# 8
Below is a relaxed NiBr4Cl crystal, with properties calculated at the GGA-PBE level.

M_tot: 1.17 μB/cell
E: -0.0540 Ha/atom
E_form (uncorrected): 0.917 eV per atom

Lattice parameters (Å, degrees): 6.068 6.068 6.068 60.00 60.00 60.00
Fractional positions:
Ni 0.000 0.000 0.000
Br 0.125 0.625 0.625
Br 0.625 0.125 0.625
Br 0.625 0.625 0.125
Br 0.625 0.625 0.625
Cl 0.250 0.250 0.250

---

# 9
Below is a relaxed NiOsBr2Cl crystal, with properties calculated at the GGA-PBE level.

M_tot: 4.58 μB/cell
E: -0.1244 Ha/atom
E_form (uncorrected): 1.054 eV per atom

Lattice parameters (Å, degrees): 4.749 4.749 5.068 90.00 90.00 90.00
Fractional positions:
Ni 0.000 0.000 0.000
Os 0.000 0.000 0.500
Br 0.000 0.500 0.000
Br 0.500 0.000 0.000
Cl 0.500 0.500 0.500

---

# 10
Below is a relaxed NiPBrCl2 crystal, with properties calculated at the GGA-PBE level.

M_tot: 0.00 μB/cell
E: -0.1136 Ha/atom
E_form (uncorrected): 0.221 eV per atom

Lattice parameters (Å, degrees): 4.508 4.508 4.697 90.00 90.00 90.00
Fractional positions:
Ni 0.000 0.000 0.000
P 0.000 0.000 0.500
Br 0.500 0.500 0.500
Cl 0.000 0.500 0.000
Cl 0.500 0.000 0.000

---

# 11
Below is a relaxed Pm6Ni2Br3Cl crystal, with properties calculated at the GGA-PBE level.

M_tot: 0.00 μB/cell
E: -0.1801 Ha/atom
E_form (uncorrected): -0.988 eV per atom